As well as one of life’s “essentials,” water is a crucial element in a variety of industrial processes, not least construction.
To the casual observer, the only visible evidence of construction site water use might be a worker hosing down a truck full of construction waste to prevent the escape of dust.
But lots of water is used in many aspects of construction and in a variety of ways.
Amid a climate change crisis and the increasing threat – and instance – of drought, the sector is looking at ways to improve water efficiency in construction projects, as well as doing more to source what it does use responsibly while striving to minimize waste and leaks.
How much water is used in construction?
According to the Construction Products Association, water is used throughout the construction lifecycle, from extracting raw materials to construction product manufacturing, throughout the building phase, and obviously once buildings have been completed and are occupied.
And when a building has reached the end of its useful life and is set to be demolished, water is used in that process too, not least to reduce the spread of dust and other debris into the air.
The CPA goes on to say that manufacturers of construction products rely on water across a broad spectrum of uses. Water, it says, “can serve as a lubricant, a cleaning agent, a sealant, a heat transfer medium, a solvent, an air pollution control medium, plus an array of other uses depending on the material and products being produced.”
Crucially, water is used in the manufacture of mortar and cement concrete, materials that have their own issues when it comes to energy efficiency and their environmental impact.
According to the journal Nature Sustainability, in 2012 concrete production was responsible for 9% of global industrial water withdrawals and 1.7% of total global water withdrawal.
The UK Centre for Moisture in Buildings reckons that up to 8,000 liters (2,113 gallons) of water may be included in mixtures and materials as construction of an average-sized new-build home proceeds, although this varies depending on the design.
The importance of water management during construction activity
Water is clearly a crucial component of construction activity. Consequently, its sourcing, storage, use and eventual disposal need to be managed effectively.
With mounting pressure on existing water supplies amid threats of droughts and other climate change-related events, having a construction water management plan in place is a must.
There is plenty of information available to the construction sector covering how to use – and conserve – water during project delivery.
In the UK, the Construction Leadership Council has drawn up water management guidance that asserts the need “to improve the efficiency of water use on construction sites through better planning and management … and to encourage consideration of environmental risks associated with construction activities.”
The CLC said its ultimate aim was to eliminate the demand and use of potable water in construction. “It is unlikely that water demand can be eliminated, but efforts can be made to reduce and use alternative sources, as well as reuse water for construction activities,” it added.
Once a project’s water needs have been identified, alternative sources should be planned for, with a metered potable supply available as backup.
The CLC calls for a water use hierarchy to be put in place, addressing – in descending order – the elimination of unnecessary water use; consideration of alternatives to potable water, such as rain and “grey” water; reduced use; and the reuse and recycling of water.
Effective water management is a group effort
The Water Conservancy organization encourages water conservation at every stage of a construction project, from design to planning and the construction process itself.
It also highlights the importance of involving the people tasked with delivering a scheme in the water use goals.
It is important, it says, to establish water conservation as a key objective of the project and ensure that everyone involved is aware of their responsibilities.
The Water Conservancy adds that induction training should be provided for new employees and contractors “so that they are also aware of their responsibilities and the benefits of the program,” while the project’s water management plan needs to be kept on-site to “ensure that all employees are aware of and have access to it.”
Water management needed to be discussed at regular meetings, the Water Conservancy says, with ongoing achievements monitored.
And in a nod toward the benefits of highlighting good practice, it adds: “Promote your successes with press releases to local media and industry associations.”
What are the rules and regulations around water consumption?
There are several areas of regulation covering water and the built environment, although these are focused on the degree to which water is used – and saved – once a development has been completed.
Unrelated to this page: records of crystals
# 1
Calculated powder diffractogram of Tm6Pd2Au for a wavelength of 1.5418 Å, from a PBE-relaxed structure.
Intensities are scaled so that the largest is 1000.

The 10 most intense peaks (10 to 90 degrees two-theta), by intensity:
- (2 2 2), 32.29 deg, I = 1000
- (1 3 2), 34.91 deg, I = 817
- (2 3 1), 35.43 deg, I = 542
- (2 1 3), 34.32 deg, I = 534
- (4 0 0), 38.52 deg, I = 375
- (5 3 2), 60.41 deg, I = 353
- (3 1 0), 30.19 deg, I = 263
- (3 0 3), 39.55 deg, I = 190
- (3 2 1), 35.62 deg, I = 186
- (0 0 4), 35.84 deg, I = 185

Structural model:
abc: 9.3495 9.4821 10.0215
angles: 90.00 90.00 90.00
Space group Immm (No. 71)
One atom of each set of equivalent atoms:
Tm  0.0000  0.1899  0.2441 [8 per cell]
Tm  0.2038  0.5000  0.1694 [8 per cell]
Tm  0.2207  0.3212  0.5000 [8 per cell]
Pd  0.0000  0.3426  0.0000 [4 per cell]
Pd  0.0000  0.5000  0.3654 [4 per cell]
Au  0.0000  0.0000  0.0000 [2 per cell]
Au  0.0000  0.0000  0.5000 [2 per cell]

# 2
Calculated powder diffractogram of ThAlS3 for a wavelength of 1.5418 Å, from a PBE-relaxed structure.
Intensities are scaled so that the largest is 1000.

The 10 most intense peaks (10 to 90 degrees two-theta), by intensity:
- (0 2 1), 15.87 deg, I = 1000
- (1 1 1), 25.90 deg, I = 850
- (1 5 1), 35.38 deg, I = 708
- (0 4 1), 23.11 deg, I = 538
- (1 3 2), 36.95 deg, I = 452
- (1 1 3), 45.03 deg, I = 426
- (1 3 0), 26.42 deg, I = 425
- (0 4 0), 19.29 deg, I = 384
- (0 6 2), 38.98 deg, I = 383
- (1 7 1), 43.01 deg, I = 330

Structural model:
abc: 4.0391 18.4094 7.0228
angles: 90.00 90.00 90.00
Space group Cmc2_1 (No. 36)
One atom of each set of equivalent atoms:
Th  0.0000  0.1631  0.0000 [4 per cell]
Al  0.0000  0.3486  0.9738 [4 per cell]
S  0.0000  0.0955  0.3561 [4 per cell]
S  0.0000  0.2583  0.6856 [4 per cell]
S  0.0000  0.3992  0.2872 [4 per cell]

# 3
Calculated powder diffractogram of Pm2Mn2BeN6 for a wavelength of 1.5418 Å, from a PBE-relaxed structure.
Intensities are scaled so that the largest is 1000.

The 10 most intense peaks (10 to 90 degrees two-theta), by intensity:
- (1 1 0), 32.77 deg, I = 1000
- (0 1 2), 22.08 deg, I = 531
- (0 1 5), 34.92 deg, I = 386
- (1 0 4), 30.04 deg, I = 364
- (2 0 2), 39.87 deg, I = 313
- (1 1 6), 48.85 deg, I = 312
- (0 2 4), 45.04 deg, I = 260
- (0 0 6), 35.20 deg, I = 252
- (1 1 9), 64.57 deg, I = 250
- (1 1 3), 37.33 deg, I = 194

Structural model:
abc: 5.4666 5.4666 15.2972
angles: 90.00 90.00 120.00
Space group R-3m (No. 166, hexagonal axes)
One atom of each set of equivalent atoms:
Pm  0.0000  0.0000  0.2280 [6 per cell]
Mn  0.0000  0.0000  0.4299 [6 per cell]
Be  0.0000  0.0000  0.0000 [3 per cell]
N  0.0156  0.5078  0.7423 [18 per cell]

----------

For Sc5Pt4, a DFT-relaxed cell (PBE, Alexandria) gives the theoretical X-ray diffraction stick pattern in this record (a wavelength of 1.5418 Å).
No peak broadening, texture or thermal motion is included.

Structure:
Cell lengths 8.3056, 8.3056, 5.6780 Å; angles 90.00, 90.00, 120.00 degrees
The mayor of London’s office spells out how agencies in London and adjoining regional and local planning authorities will work to “protect and conserve water supplies and resources in order to secure London’s needs in a sustainable manner.”
It stipulates that development should minimize the use of mains water by incorporating water-saving measures and equipment and by designing residential development so that mains water consumption would meet a target of 105 liters (28 gallons) or less per head per day.
There will also be support for sustainable water supply infrastructure in new developments as part of water companies’ water resource management plans.
How to reduce water consumption in construction: Now and in the future
While construction is improving water usage, designers of the homes and other buildings society needs will be creating them with water efficiencies in mind.
Planning authorities want limits of 125 liters (33 gallons) of water per person per day on new housing developments as part of the Building Regulations Part G and can demand a lower limit of 110 liters (29 gallons) as part of a planning condition.
The water footprint of a new home or office can be reduced considerably by thoughtful design.
Showers can replace baths, or baths can be designed to be more water efficient. Dual flush toilets are becoming the norm, while rainwater collection, via a water butt system, can replace tap water for most outside uses. Meanwhile, appropriate landscaping can protect homes from flooding – another consequence of climate change – and prevent wasteful water run-off.
With the world on the brink of a full-blown climate crisis, water efficiency in construction must be addressed. The sector is no doubt fully aware that it makes good environmental – and business – sense to tackle the water issue sooner rather than later.